One of the striking features of how concern over global warming has risen to the top of our political agenda is the extraordinary unanimity with which it has been taken up by our political establishment.

Not only have our main political parties unquestioningly accepted the more extreme claims of the threat posed by global warming, as exemplified by the Treasury's Stern Review or Al Gore's alarmist film. Our politicians have similarly endorsed without a murmur all the steps now being taken to avert this predicted catastrophe - which, if carried through, can only mean a dramatic transformation in our way of life.

Only one senior political figure in Britain has dared stand apart from this stifling orthodoxy: Nigel Lawson, now Lord Lawson of Blaby, who as Margaret Thatcher's Chancellor presided over the renaissance of our economy in the 1980s.

©Andrew Crowley
Lord Lawson: the science is far from settled or understood

Next to the text, the page also holds records of crystals:
'''
Entry 1:
{"formula": "Rb2SbPdCl", "functional": "GGA-PBE", "state": "relaxed", "spacegroup": "P4/mmm (123)", "e_tot_ev_per_atom": -3.269, "e_form_raw_kcal_per_mol_atoms": -15.0, "lattice": [[6.6067, 0.0000, 0.0000], [0.0000, 6.6067, 0.0000], [0.0000, 0.0000, 4.9162]], "species": ["Rb", "Rb", "Sb", "Pd", "Cl"], "frac_coords": [[0.0000, 0.5000, 0.0000], [0.5000, 0.0000, 0.0000], [0.0000, 0.0000, 0.5000], [0.0000, 0.0000, 0.0000], [0.5000, 0.5000, 0.5000]]}

Entry 2:
{"formula": "Rb2ScPdCl6", "functional": "GGA-PBE", "state": "relaxed", "spacegroup": "I4/mmm (139)", "e_tot_ev_per_atom": -4.083, "e_form_raw_kcal_per_mol_atoms": -37.6, "lattice": [[-3.7085, 3.7085, 5.0270], [3.7085, -3.7085, 5.0270], [3.7085, 3.7085, -5.0270]], "species": ["Rb", "Rb", "Sc", "Pd", "Cl", "Cl", "Cl", "Cl", "Cl", "Cl"], "frac_coords": [[0.2500, 0.7500, 0.5000], [0.7500, 0.2500, 0.5000], [0.0000, 0.0000, 0.0000], [0.5000, 0.5000, 0.0000], [0.2382, 0.2382, 0.4765], [0.2382, 0.7618, 0.0000], [0.2504, 0.2504, 0.0000], [0.7496, 0.7496, 0.0000], [0.7618, 0.2382, 0.0000], [0.7618, 0.7618, 0.5235]]}

Entry 3:
{"formula": "Rb2PdSeCl6", "functional": "GGA-PBE", "state": "relaxed", "spacegroup": "I4/mmm (139)", "e_tot_ev_per_atom": -3.145, "e_form_raw_kcal_per_mol_atoms": -22.5, "lattice": [[-3.5636, 3.5636, 5.5272], [3.5636, -3.5636, 5.5272], [3.5636, 3.5636, -5.5272]], "species": ["Rb", "Rb", "Pd", "Se", "Cl", "Cl", "Cl", "Cl", "Cl", "Cl"], "frac_coords": [[0.2500, 0.7500, 0.5000], [0.7500, 0.2500, 0.5000], [0.0000, 0.0000, 0.0000], [0.5000, 0.5000, 0.0000], [0.2151, 0.2151, 0.0000], [0.2529, 0.2529, 0.5058], [0.2529, 0.7471, 0.0000], [0.7471, 0.2529, 0.0000], [0.7471, 0.7471, 0.4942], [0.7849, 0.7849, 0.0000]]}

* * * * *

*P*
Tb3Pm6Er (PBE, optimized geometry); DOS(E_F) = 13.6 states/eV/f.u.
1.0
5.486 -9.631 0.000
5.486 9.631 0.000
0.000 0.000 6.361
Tb Pm Er
6 12 2
Direct
0.114 0.886 0.500 Tb
0.216 0.445 0.887 Tb
0.445 0.216 0.387 Tb
0.555 0.784 0.887 Tb
0.784 0.555 0.387 Tb
0.886 0.114 0.000 Tb
0.023 0.443 0.283 Pm
0.126 0.212 0.471 Pm
0.212 0.126 0.971 Pm
0.222 0.778 0.070 Pm
0.443 0.023 0.783 Pm
0.463 0.537 0.308 Pm
0.537 0.463 0.808 Pm
0.557 0.977 0.283 Pm
0.778 0.222 0.570 Pm
0.788 0.874 0.471 Pm
0.874 0.788 0.971 Pm
0.977 0.557 0.783 Pm
0.304 0.696 0.538 Er
0.696 0.304 0.038 Er

*Q*
Tb3Pm6Er (PBE, optimized geometry); DOS(E_F) = 16.6 states/eV/f.u.
1.0
4.902 -10.660 0.000
4.902 10.660 0.000
0.000 0.000 6.424
Tb Pm Er
6 12 2
Direct
0.079 0.921 0.500 Tb
0.207 0.458 0.096 Tb
0.458 0.207 0.596 Tb
0.542 0.793 0.096 Tb
0.793 0.542 0.596 Tb
0.921 0.079 0.000 Tb
0.044 0.606 0.265 Pm
0.121 0.242 0.521 Pm
0.199 0.801 0.791 Pm
0.242 0.121 0.021 Pm
0.394 0.956 0.265 Pm
0.484 0.516 0.766 Pm
0.516 0.484 0.266 Pm
0.606 0.044 0.765 Pm
0.758 0.879 0.521 Pm
0.801 0.199 0.291 Pm
0.879 0.758 0.021 Pm
0.956 0.394 0.765 Pm
0.341 0.659 0.570 Er
0.659 0.341 0.070 Er

Out of the structures above, which one is the least stable? Solution: *P*.
'''
So much for the records of crystals:

In 2005 Lord Lawson played an influential part in shaping a report on The Economics of Climate Change by the Lords economic affairs committee. It stood out as a measured but often critical appraisal both of the science behind orthodox global warming theory and of the political response to it.

In 2006, in a lecture to the Centre for Policy Studies, Lord Lawson gave a more personal view of one of the overriding political issues of our time, which he has now expanded into a book, An Appeal To Reason: A Cool Look At Global Warming.

His timing is impeccable. On one hand, we are just starting to appreciate the colossal cost of the measures being taken to meet the European Union's target of a 60 per cent cut in our CO2 emissions in the next four decades, ranging from plans to spend hundreds of billions of pounds on wind turbines to the EU's emissions trading scheme, already costing us billions through our electricity bills.

On the other hand, global temperatures, after flattening out, have in recent months shown a sharp fall, wholly unpredicted by those computer models on which the proponents of warming orthodoxy rely. This raises rather large question marks over whether the theory has actually got it right.

When I met Lord Lawson at the House of Lords, I hadn't seen him since his famously drastic slimming regime, some years back, left him looking rather gaunt. I was relieved to see him now, at the age of 76, looking remarkably well-preserved as he continues to divide his active life between the House of Lords, two company chairmanships and his home in south-western France.

How did he come to develop such an informed interest in this subject? "When, in 2005, I was invited to serve on the Lords committee," he explains, "I felt there was no issue more appropriate for us to look at than the economic implications of global warming, because they are so enormous, and so few people seemed to be doing it."

What was most striking about that Lords inquiry was the range of expert witnesses it called. These naturally included leading supporters of the official orthodoxy, such as Sir John Houghton, chairman of the working group of the UN's Intergovernmental Panel on Climate Change (IPCC), which since 1988 has been the central player in alerting the world to the supposed dangers of global warming.

But also invited to testify were some eminent dissenters, such as the US climatologist Professor Richard Lindzen and Paul Reiter, the world's leading expert on tropical diseases, both outspoken critics of the much-vaunted "scientific consensus" on global warming.

"Considering the differing views our committee started with," says Lord Lawson, "it was quite an achievement that we ended up unanimously agreed on what was in many ways a fairly critical report. But the key was that we based our findings on examining the evidence" - and this remains a marked feature of his book.

"Undoubtedly," he says, "the closing years of the 20th century saw a modest warming in global temperatures. But the orthodox explanation for this has a problem. While atmospheric CO2 continues to rise, temperatures have not in the past decade followed suit.

"They try to explain this," he adds mischievously, "by saying that global warming will resume in 2009 or thereabouts.
Maybe it will: we shall see."

Snow falling on a beach in Greece appears to give the lie to the apocalyptic predictions of Al Gore and others says Lord Lawson

Some of the committee's most trenchant criticism, echoed by Lord Lawson today, was reserved for the way the IPCC "has mutated in the minds of those who head it into something more like a politically correct alarmist pressure group".

"Nevertheless," he says, "we have to accept that the IPCC is far and away the most influential player on this issue. What I therefore try to do in my book is to accept the general case it has made, but to look very carefully at how it is made and its implications."

One useful thing Lord Lawson does is to examine what the IPCC is actually saying in the small print of its latest report, as compared with the wilder exaggerations favoured by the Stern Review and Al Gore. "If you look at the IPCC's detailed predictions, on such issues as food and water shortages, sea-level rise and health, they paint nothing like the catastrophe we are made familiar with by the media. A maximum sea-level rise of 23in over 100 years hardly compares with the 20ft predicted by Mr Gore's film.

"Indeed, from the IPCC's predictions," he says, "we can calculate that the upshot of this great disaster facing the world might be that our great-grandchildren, instead of being slightly more than 4.8 times as well off as we are, would be only 4.7 times as well off."

One huge gap in the IPCC's thinking, Lord Lawson suggests, is that "it fails almost completely to take account of the capacity of human beings to adapt to changing temperatures - as we can see from comparing Finland with Singapore, two of the world's most successful economies. In the first, people manage to live happily with an average annual temperature of 5C; in the second, they can cope with an average of 27C."

He goes on to contrast some of the crazier predictions on such matters as the melting of polar ice or the shifting of the Gulf Stream with the much less alarmist views of genuine experts in these fields - showing how the "threat from which the planet must be saved" has been almost laughably exaggerated.

So what then should we do about it? Lord Lawson discusses the familiar implausibility of reaching any worldwide agreement on massive cuts in CO2, when developing countries such as China and India cannot see why they should be denied the hope of emulating the living standards of the West.

He similarly dismisses the futility of most of the techniques being proposed to "mitigate" those emissions, from "cap-and-trade" schemes to reliance on biofuels, which "even the most zealous environmentalists now realise do far more environmental damage than anything they might seek to cure".

As for "such feelgood measures as driving a hybrid car or not leaving our television sets on standby, in this context they are trivial to the point of irrelevance".

"Our politicians," he says, "need to be honest with the people. If they believe that we need to cut back drastically on carbon dioxide emissions today, at considerable cost and disruption to our way of life, because there is a remote risk of major disaster some time in the distant future, they should make the case explicitly in those terms.

"The fact is," he concludes, "that the science of what determines the earth's temperature is far from settled or understood - and fortunately opinion surveys suggest that the majority of people, even in the UK where politicians of all parties sing from the same politically correct hymn sheet, instinctively sense that this is so."

Lord Lawson closes on a note that others of us have struck in trying to puzzle out the deeper reasons for this great climate panic. He recognises that in many ways the global warming ideology has filled the vacuum left by the collapse of Marxism: "Green is the new red."

Misplaced records of crystals:
<<<
a.
This record from the Alexandria database describes a relaxed structure of CaRu2Pt. The functional is PBE-GGA.

Cell and atoms, written as POSCAR:
```
CaRu2Pt
1.0
-4.7531 -0.6145 1.0471
-2.1936 -1.5783 -4.0942
3.8870 -1.6061 2.5253
Ru Ca Pt
2 1 1
Cartesian
-0.0725 -0.0229 -0.0318
-0.8052 -2.1136 -1.5091
-3.4420 -1.0865 -1.5099
-2.2133 -1.6723 1.0053
```

=====

b.
This record from the Alexandria database describes a relaxed structure of CaRu2Pt. The functional is PBE-GGA.

Cell and atoms, written as POSCAR:
```
CaRu2Pt
1.0
3.2550 0.0000 0.0000
0.0000 3.2550 0.0000
0.0000 0.0000 6.7381
Ru Ca Pt
2 1 1
Cartesian
0.0000 0.0000 6.3987
0.0000 0.0000 3.7085
1.6275 1.6275 1.6845
1.6275 1.6275 5.0536
```

=====

c.
This record from the Alexandria database describes a relaxed structure of CaRu2Pt. The functional is PBE-GGA.

Cell and atoms, written as POSCAR:
```
CaRu2Pt
1.0
-4.0582 0.0585 3.0046
-3.7346 -2.8999 -1.7729
4.9231 -0.7754 0.8136
Ru Ca Pt
2 1 1
Cartesian
0.0000 0.0000 0.0000
-3.8964 -1.4207 0.6159
-1.3540 -2.5480 -0.1717
-1.5157 -1.0688 2.2170
```

=====

d.
This record from the Alexandria database describes a relaxed structure of CaRu2Pt. The functional is PBE-GGA.

Cell and atoms, written as POSCAR:
```
CaRu2Pt
1.0
4.5858 0.0000 0.0000
2.2929 3.9714 0.0000
2.2929 1.3238 3.7443
Ru Ca Pt
2 1 1
Cartesian
0.0000 0.0000 0.0000
2.2929 1.3238 0.9361
4.5858 2.6476 1.8721
6.8787 3.9714 2.8082
```

=====

Question: which arrangement is favored energetically? Ranking from most to least stable: a, c, d, b.

=====

a.
This record from the Alexandria database describes a relaxed structure of CaRu2Pt. The functional is PBE-GGA.

Cell and atoms, written as POSCAR:
```
CaRu2Pt
1.0
-2.8174 -1.9394 -2.9960
-4.2110 1.6268 -0.5435
-1.1137 2.1943 -3.8235
Ru Ca Pt
2 1 1
Cartesian
-2.0355 0.4704 -1.8407
-6.1066 1.4113 -5.5222
0.0000 0.0000 0.0000
-4.0710 0.9409 -3.6815
```

=====

b.
This record from the Alexandria database describes a relaxed structure of CaRu2Pt. The functional is PBE-GGA.

Cell and atoms, written as POSCAR:
```
CaRu2Pt
1.0
-4.4248 -1.9846 0.0092
1.1230 -2.5006 0.6981
-0.2598 0.6019 4.9207
Ru Ca Pt
2 1 1
Cartesian
0.7926 -1.7419 5.4824
0.5022 -1.1061 2.9459
-1.9966 -1.4670 1.4093
-1.5650 -2.4163 4.2187
```

=====

Question: which arrangement is favored energetically? Ranking from most to least stable: b, a.

=====

a.
This record from the Alexandria database describes a relaxed structure of CaRuPt. The functional is PBE-GGA.

Cell and atoms, written as POSCAR:
```
CaRuPt
1.0
4.6408 0.0000 0.0000
-2.3204 4.0190 0.0000
0.0000 0.0000 2.9436
Ru Ca Pt
1 1 1
Cartesian
0.0000 2.6793 1.4723
0.0000 0.0000 2.9430
2.3204 1.3397 1.4720
```

=====

b.
This record from the Alexandria database describes a relaxed structure of CaRuPt. The functional is PBE-GGA.

Cell and atoms, written as POSCAR:
```
CaRuPt
1.0
-2.8500 3.4294 -0.4765
-4.3488 -0.5506 0.9462
-1.7726 1.9622 3.6219
Ru Ca Pt
1 1 1
Cartesian
-4.4857 2.4205 2.0459
-6.7286 3.6307 3.0688
>>>
Back to the entry:

He sees parallels with the apocalyptic visions held out by certain religious movements in the past. He is alarmed by the fanatical intolerance shown by many believers in global warming to any heretic who dares question their certainties.

• Inserted here: materials data:
┌──
Entry 1:
An optimized crystal structure of LiDy2SbO6. Source: Alexandria, functional PBE.

Properties
formation energy without anion corrections: -2623 meV per atom
total magnetic moment: 0.00 μB/f.u.
energy: -71.2 eV/cell

abc: 5.576 5.576 5.871
angles: 61.65 61.65 60.00
Positions (direct):
Li 0.792 0.792 0.625
Dy 0.531 0.531 0.407
Dy 0.027 0.027 0.920
Sb 0.321 0.321 0.037
O 0.581 0.210 0.241
O 0.210 0.967 0.241
O 0.967 0.581 0.241
O 0.433 0.681 0.768
O 0.681 0.119 0.768
O 0.119 0.433 0.768



Entry 2:
An optimized crystal structure of LiDySeO. Source: Alexandria, functional PBE.

Properties
formation energy without anion corrections: -2402 meV per atom
total magnetic moment: 0.00 μB/f.u.
energy: -49.1 eV/cell

abc: 3.915 3.915 8.951
angles: 90.00 90.00 90.00
Positions (direct):
Li 0.500 0.500 0.000
Li 0.000 0.000 0.000
Dy 0.500 0.000 0.624
Dy 0.000 0.500 0.376
Se 0.000 0.500 0.819
Se 0.500 0.000 0.181
O 0.000 0.000 0.500
O 0.500 0.500 0.500



Entry 3:
An optimized crystal structure of Li2Dy3Se3O2. Source: Alexandria, functional PBE.

Properties
formation energy without anion corrections: -2107 meV per atom
total magnetic moment: 0.00 μB/f.u.
energy: -59.1 eV/cell

abc: 4.009 4.009 12.684
angles: 99.09 99.09 90.00
Positions (direct):
Li 0.750 0.250 0.500
Li 0.250 0.750 0.500
Dy 0.863 0.863 0.726
Dy 0.500 0.500 0.000
Dy 0.137 0.137 0.274
Se 0.618 0.618 0.236
Se 0.382 0.382 0.764
Se 0.000 0.000 0.000
O 0.782 0.782 0.563
O 0.218 0.218 0.437



Entry 4:
An optimized crystal structure of LiDySeO4. Source: Alexandria, functional PBE.

Properties
formation energy without anion corrections: -1943 meV per atom
total magnetic moment: 0.00 μB/f.u.
energy: -86.9 eV/cell

abc: 7.126 6.337 6.337
angles: 65.29 55.79 55.79
Positions (direct):
Li 0.500 0.000 0.500
Li 0.000 0.000 0.500
Dy 0.000 0.000 0.000
Dy 0.000 0.500 0.500
Se 0.573 0.677 0.177
Se 0.427 0.323 0.823
O 0.707 0.742 0.844
O 0.293 0.656 0.758
O 0.707 0.344 0.242
O 0.293 0.258 0.156
O 0.184 0.770 0.270
O 0.776 0.770 0.270
O 0.224 0.230 0.730
O 0.816 0.230 0.730


Compound: Pm2ZnAgO5
Source: Alexandria
Functional: GGA-PBE
└──

He ends by describing "the new religion of global warming" as "the Da Vinci Code of environmentalism. It is a great story and a best-seller. It contains a grain of truth and a mountain of nonsense.

"We have entered," he says, "a new age of unreason, which threatens to be as economically harmful as it is disquieting. It is from this, above all, that we really do need to save the planet."

An Appeal to Reason: A Cool Look at Global Warming will be published on Thursday (Duckworth, ยฃ9.99)

Christopher Booker recently published Scared to Death: From BSE to Global Warming - Why Scares Are Costing Us the Earth (Continuum, ยฃ14.99)